-- Contents --
┌──
Entry 1:
Structure and computed XRD peak list of Cu2HgTe4Ir (DFT lattice parameters and positions (PBE); copper Kα).
Lines closer than 0.1° are merged.

Principal peaks in the range 10° ≤ 2θ ≤ 80°, sorted by position:
two_theta, d (Å), I_rel
20.45, 4.344, 11.0
25.27, 3.524, 100.0
32.72, 2.737, 10.3
41.58, 2.172, 24.9
41.99, 2.152, 49.1
49.28, 1.849, 30.1
50.00, 1.824, 15.8
60.26, 1.536, 7.4
67.00, 1.397, 11.3
76.16, 1.250, 13.7

Cell and atoms:
abc: 6.143 6.143 12.060
angles: 90.00 90.00 90.00
Space group I-42m (No. 121)
One atom of each set of equivalent atoms:
Cu 0.000 0.500 0.250 [4 per cell]
Hg 0.000 0.000 0.000 [2 per cell]
Te 0.224 0.224 0.363 [8 per cell]
Ir 0.000 0.000 0.500 [2 per cell]

***

Entry 2:
Structure and computed XRD peak list of DyHo2Sc3CuTe2 (DFT lattice parameters and positions (PBE); copper Kα).
Lines closer than 0.1° are merged.

Principal peaks in the range 10° ≤ 2θ ≤ 80°, sorted by position:
two_theta, d (Å), I_rel
22.28, 3.990, 29.6
31.86, 2.809, 100.0
34.33, 2.612, 28.0
34.47, 2.602, 59.2
39.10, 2.304, 35.5
41.43, 2.180, 18.7
45.90, 1.977, 16.6
61.84, 1.500, 18.2
63.18, 1.472, 21.3
72.40, 1.305, 16.6

Cell and atoms:
abc: 3.954 13.823 7.980
angles: 90.00 90.00 90.00
Space group Amm2 (No. 38)
One atom of each set of equivalent atoms:
Dy 0.000 0.000 0.000 [2 per cell]
Ho 0.000 0.198 0.593 [4 per cell]
Sc 0.500 0.000 0.632 [2 per cell]
Sc 0.500 0.118 0.277 [4 per cell]
Cu 0.000 0.000 0.396 [2 per cell]
Te 0.500 0.167 0.896 [4 per cell]

=====

1.
This entry pairs a crystal structure of MgTi3S6 with its theoretical powder XRD pattern. Radiation: CuKα. Structure: a GGA-PBE-relaxed structure.

Crystal structure
```
data_MgTi3S6
_symmetry_space_group_name_H-M 'P 1'
_symmetry_Int_Tables_number 1
_symmetry_space_group_name_Hall 'P 1'
_cell_length_a 3.496
_cell_length_b 3.496
_cell_length_c 19.148
_cell_angle_alpha 90.00
_cell_angle_beta 90.00
_cell_angle_gamma 60.01
loop_
_atom_site_label
_atom_site_type_symbol
_atom_site_fract_x
_atom_site_fract_y
_atom_site_fract_z
Mg1 Mg 0.000 0.000 0.000
Ti1 Ti 0.000 0.000 0.169
Ti2 Ti 0.000 0.000 0.831
Ti3 Ti 0.001 0.004 0.483
S1 S 0.333 0.331 0.410
S2 S 0.333 0.333 0.083
S3 S 0.333 0.333 0.764
S4 S 0.666 0.665 0.556
S5 S 0.667 0.667 0.236
S6 S 0.667 0.667 0.917
```

Top 10 peaks for 10° ≤ 2θ ≤ 90°, low angle first:
(0 0 3), 2θ 13.87, d 6.383, I 83
(1 0 3), 2θ 32.74, d 2.736, I 100
(1 0 6), 2θ 41.09, d 2.196, I 85
(2 1 0), 2θ 52.34, d 1.748, I 41
(1 1 9), 2θ 52.57, d 1.741, I 23
(2 1 3), 2θ 54.42, d 1.686, I 11
(2 2 3), 2θ 63.12, d 1.473, I 14
(2 2 6), 2θ 68.61, d 1.368, I 17
(1 2 12), 2θ 81.71, d 1.179, I 11
(3 1 3), 2θ 86.38, d 1.126, I 16

=====

2.
This entry pairs a crystal structure of MgTi3S6 with its theoretical powder XRD pattern. Radiation: CuKα. Structure: a GGA-PBE-relaxed structure.

Crystal structure
```
data_MgTi3S6
_symmetry_space_group_name_H-M 'P -3 m 1'
_symmetry_Int_Tables_number 164
_symmetry_space_group_name_Hall '-P 3 2"'
_cell_length_a 3.4989
_cell_length_b 3.4989
_cell_length_c 21.0028
_cell_angle_alpha 90.00
_cell_angle_beta 90.00
_cell_angle_gamma 120.00
loop_
_atom_site_label
_atom_site_type_symbol
_atom_site_fract_x
_atom_site_fract_y
_atom_site_fract_z
Mg1 Mg 0.0000 0.0000 0.0000
Ti1 Ti 0.0000 0.0000 0.1535
Ti2 Ti 0.0000 0.0000 0.5000
S1 S 0.3333 0.6667 0.2145
S2 S 0.3333 0.6667 0.5659
S3 S 0.3333 0.6667 0.9251
```

Top 10 peaks for 10° ≤ 2θ ≤ 90°, low angle first:
(0 0 3), 2θ 12.64, d 7.001, I 100
(0 1 3), 2θ 32.19, d 2.781, I 65
(0 1 6), 2θ 39.33, d 2.291, I 61
(1 0 8), 2θ 45.73, d 1.984, I 17
(1 0 9), 2θ 49.29, d 1.849, I 11
(1 1 0), 2θ 52.29, d 1.749, I 31
(1 1 3), 2θ 54.03, d 1.697, I 11
(1 0 11), 2θ 57.01, d 1.615, I 10
(2 0 6), 2θ 67.35, d 1.390, I 11
(1 1 14), 2θ 85.21, d 1.139, I 11

=====

3.
This entry pairs a crystal structure of MgTi4S8 with its theoretical powder XRD pattern. Radiation: CuKα. Structure: a GGA-PBE-relaxed structure.

Crystal structure
```
data_MgTi4S8
_symmetry_space_group_name_H-M 'R -3 m'
└──

-- Activity --
Could you print every line further up that contains the word "GGA-PBE-relaxed"?

-- Response --
This entry pairs a crystal structure of MgTi3S6 with its theoretical powder XRD pattern. Radiation: CuKα. Structure: a GGA-PBE-relaxed structure.
This entry pairs a crystal structure of MgTi3S6 with its theoretical powder XRD pattern. Radiation: CuKα. Structure: a GGA-PBE-relaxed structure.
This entry pairs a crystal structure of MgTi4S8 with its theoretical powder XRD pattern. Radiation: CuKα. Structure: a GGA-PBE-relaxed structure.